What to do
Repeat the material further down with every line break kept.

Given
~~~
# 1
First-principles (PBE) data for a relaxed structure of GaB2P2O12, as listed in the Materials Project. Values from VASP.

Cell and atoms, written as Quantum ESPRESSO input:
```
&SYSTEM
  ibrav = 0, nat = 34, ntyp = 4
/
ATOMIC_SPECIES
Ga 69.72 Ga.upf
B 10.81 B.upf
P 30.97 P.upf
O 16.00 O.upf
ATOMIC_POSITIONS angstrom
Ga 4.343 1.743 0.000
Ga 3.132 -1.743 3.313
B 6.066 1.934 2.637
B 10.093 1.934 0.676
B 4.855 -1.934 5.950
B 8.882 -1.934 3.989
P 1.902 0.873 1.934
P 0.691 -0.873 5.247
P 14.257 0.873 1.379
P 13.046 -0.873 4.692
O -0.060 0.128 4.295
O 3.588 1.623 5.578
O 1.151 -0.128 0.982
O 5.455 1.772 3.963
O 5.418 1.198 1.604
O 2.771 0.145 2.953
O 1.560 -0.145 6.266
O 7.324 1.153 2.610
O 8.282 1.772 5.975
O 8.835 1.153 0.703
O 10.149 1.623 4.361
O 10.741 1.198 1.709
O 4.207 -1.198 4.917
O 4.799 -1.623 2.265
O 6.113 -1.153 5.923
O 6.666 -1.772 0.650
O 7.624 -1.153 4.016
O 13.388 0.145 0.360
O 12.177 -0.145 3.672
O 9.530 -1.198 5.022
O 9.493 -1.772 2.662
O 13.797 0.128 5.644
O 11.360 -1.623 1.048
O 15.008 -0.128 2.331
CELL_PARAMETERS angstrom
8.685 -3.486 0.000
8.685 3.486 0.000
-2.422 0.000 6.626
```

Calculated values
Symmetry: C2/c, No. 15



# 2
First-principles (PBE) data for a relaxed structure of GaBPbO4, as listed in the Materials Project. Values from VASP.

Cell and atoms, written as Quantum ESPRESSO input:
```
&SYSTEM
  ibrav = 0, nat = 28, ntyp = 4
/
ATOMIC_SPECIES
Ga 69.72 Ga.upf
B 10.81 B.upf
Pb 207.20 Pb.upf
O 16.00 O.upf
ATOMIC_POSITIONS angstrom
Ga 0.000 0.000 0.000
Ga 0.000 2.994 0.000
Ga 3.560 0.000 4.198
Ga 3.560 2.994 4.198
B 1.583 1.497 2.218
B 1.978 4.491 6.416
B 5.143 1.497 1.980
B 5.538 4.491 6.178
Pb 0.455 4.491 2.998
Pb 3.105 1.497 7.196
Pb 4.015 4.491 1.200
Pb 6.665 1.497 5.398
O 0.715 1.497 7.447
O 1.221 0.290 1.623
O 1.221 2.704 1.623
O 1.278 4.491 7.615
O 2.282 1.497 3.417
O 2.339 3.284 5.821
O 2.339 5.698 5.821
O 2.845 4.491 3.249
O 4.276 1.497 5.147
O 4.782 0.290 2.575
O 4.782 2.704 2.575
O 4.838 4.491 4.979
O 5.843 1.497 0.781
O 5.899 3.284 6.773
O 5.899 5.698 6.773
O 6.405 4.491 0.949
CELL_PARAMETERS angstrom
7.120 0.000 0.000
0.000 5.988 0.000
0.000 0.000 8.396
```

Calculated values
Symmetry: Pnma, No. 62



# 3
First-principles (PBE) data for a relaxed structure of SmGa3B4O12, as listed in the Materials Project. Values from VASP.

Cell and atoms, written as Quantum ESPRESSO input:
```
&SYSTEM
  ibrav = 0, nat = 20, ntyp = 4
/
ATOMIC_SPECIES
Sm 150.36 Sm.upf
Ga 69.72 Ga.upf
B 10.81 B.upf
O 16.00 O.upf
ATOMIC_POSITIONS angstrom
Sm 0.000 0.000 0.000
Ga -2.632 -0.967 2.530
Ga -2.632 0.967 5.060
Ga 0.479 2.763 2.530
B -2.141 -3.709 3.795
B 0.000 0.000 3.795
B -2.141 3.709 3.795
B 4.282 0.000 3.795
O -2.880 -2.557 3.640
O -3.901 0.000 3.795
O -0.775 -3.772 3.950
O -1.391 0.000 3.795
O -2.880 2.557 3.950
O 1.951 -3.379 3.795
O 0.695 -1.204 3.795
O -0.775 3.772 3.640
O 0.695 1.204 3.795
O 3.654 -1.215 3.640
O 1.951 3.379 3.795
O 3.654 1.215 3.950
CELL_PARAMETERS angstrom
4.786 2.763 2.530
-4.786 2.763 2.530
0.000 -5.526 2.530
```

Calculated values
Symmetry: R32, No. 155



Number 1: energy -224.70 eV per cell, formation enthalpy at 0 K -2.000 eV/atom, magnetic moment 10.0 μB per cell. Number 2: energy -186.25 eV per cell, formation enthalpy at 0 K -2.300 eV/atom, magnetic moment 0.0 μB per cell. Number 3: energy -147.24 eV per cell, formation enthalpy at 0 K -2.779 eV/atom, magnetic moment 0.0 μB per cell.

~~~~~

# 1
The following is a GGA-PBE calculation of a geometry-optimized PaInCu2 structure, from the Materials Project database.

Structure (extended XYZ):
```
4
Lattice="0.000 3.349 3.349 3.349 0.000 3.349 3.349 3.349 0.000" Properties=species:S:1:pos:R:3 pbc="T T T"
Cu 5.024 5.024 5.024
Cu 1.675 1.675 1.675
In 3.349 3.349 3.349
Pa 0.000 0.000 0.000
```

Calculated values
DFT total energy	-20.8	eV/cell
space group	No. 225

***

# 2
The following is a GGA-PBE calculation of a geometry-optimized NdMg16Al12 structure, from the Materials Project database.

Structure (extended XYZ):
```
29
~~~

Here it is
# 1
First-principles (PBE) data for a relaxed structure of GaB2P2O12, as listed in the Materials Project. Values from VASP.

Cell and atoms, written as Quantum ESPRESSO input:
```
&SYSTEM
  ibrav = 0, nat = 34, ntyp = 4
/
ATOMIC_SPECIES
Ga 69.72 Ga.upf
B 10.81 B.upf
P 30.97 P.upf
O 16.00 O.upf
ATOMIC_POSITIONS angstrom
Ga 4.343 1.743 0.000
Ga 3.132 -1.743 3.313
B 6.066 1.934 2.637
B 10.093 1.934 0.676
B 4.855 -1.934 5.950
B 8.882 -1.934 3.989
P 1.902 0.873 1.934
P 0.691 -0.873 5.247
P 14.257 0.873 1.379
P 13.046 -0.873 4.692
O -0.060 0.128 4.295
O 3.588 1.623 5.578
O 1.151 -0.128 0.982
O 5.455 1.772 3.963
O 5.418 1.198 1.604
O 2.771 0.145 2.953
O 1.560 -0.145 6.266
O 7.324 1.153 2.610
O 8.282 1.772 5.975
O 8.835 1.153 0.703
O 10.149 1.623 4.361
O 10.741 1.198 1.709
O 4.207 -1.198 4.917
O 4.799 -1.623 2.265
O 6.113 -1.153 5.923
O 6.666 -1.772 0.650
O 7.624 -1.153 4.016
O 13.388 0.145 0.360
O 12.177 -0.145 3.672
O 9.530 -1.198 5.022
O 9.493 -1.772 2.662
O 13.797 0.128 5.644
O 11.360 -1.623 1.048
O 15.008 -0.128 2.331
CELL_PARAMETERS angstrom
8.685 -3.486 0.000
8.685 3.486 0.000
-2.422 0.000 6.626
```

Calculated values
Symmetry: C2/c, No. 15



# 2
First-principles (PBE) data for a relaxed structure of GaBPbO4, as listed in the Materials Project. Values from VASP.

Cell and atoms, written as Quantum ESPRESSO input:
```
&SYSTEM
  ibrav = 0, nat = 28, ntyp = 4
/
ATOMIC_SPECIES
Ga 69.72 Ga.upf
B 10.81 B.upf
Pb 207.20 Pb.upf
O 16.00 O.upf
ATOMIC_POSITIONS angstrom
Ga 0.000 0.000 0.000
Ga 0.000 2.994 0.000
Ga 3.560 0.000 4.198
Ga 3.560 2.994 4.198
B 1.583 1.497 2.218
B 1.978 4.491 6.416
B 5.143 1.497 1.980
B 5.538 4.491 6.178
Pb 0.455 4.491 2.998
Pb 3.105 1.497 7.196
Pb 4.015 4.491 1.200
Pb 6.665 1.497 5.398
O 0.715 1.497 7.447
O 1.221 0.290 1.623
O 1.221 2.704 1.623
O 1.278 4.491 7.615
O 2.282 1.497 3.417
O 2.339 3.284 5.821
O 2.339 5.698 5.821
O 2.845 4.491 3.249
O 4.276 1.497 5.147
O 4.782 0.290 2.575
O 4.782 2.704 2.575
O 4.838 4.491 4.979
O 5.843 1.497 0.781
O 5.899 3.284 6.773
O 5.899 5.698 6.773
O 6.405 4.491 0.949
CELL_PARAMETERS angstrom
7.120 0.000 0.000
0.000 5.988 0.000
0.000 0.000 8.396
```

Calculated values
Symmetry: Pnma, No. 62



# 3
First-principles (PBE) data for a relaxed structure of SmGa3B4O12, as listed in the Materials Project. Values from VASP.

Cell and atoms, written as Quantum ESPRESSO input:
```
&SYSTEM
  ibrav = 0, nat = 20, ntyp = 4
/
ATOMIC_SPECIES
Sm 150.36 Sm.upf
Ga 69.72 Ga.upf
B 10.81 B.upf
O 16.00 O.upf
ATOMIC_POSITIONS angstrom
Sm 0.000 0.000 0.000
Ga -2.632 -0.967 2.530
Ga -2.632 0.967 5.060
Ga 0.479 2.763 2.530
B -2.141 -3.709 3.795
B 0.000 0.000 3.795
B -2.141 3.709 3.795
B 4.282 0.000 3.795
O -2.880 -2.557 3.640
O -3.901 0.000 3.795
O -0.775 -3.772 3.950
O -1.391 0.000 3.795
O -2.880 2.557 3.950
O 1.951 -3.379 3.795
O 0.695 -1.204 3.795
O -0.775 3.772 3.640
O 0.695 1.204 3.795
O 3.654 -1.215 3.640
O 1.951 3.379 3.795
O 3.654 1.215 3.950
CELL_PARAMETERS angstrom
4.786 2.763 2.530
-4.786 2.763 2.530
0.000 -5.526 2.530
```

Calculated values
Symmetry: R32, No. 155



Number 1: energy -224.70 eV per cell, formation enthalpy at 0 K -2.000 eV/atom, magnetic moment 10.0 μB per cell. Number 2: energy -186.25 eV per cell, formation enthalpy at 0 K -2.300 eV/atom, magnetic moment 0.0 μB per cell. Number 3: energy -147.24 eV per cell, formation enthalpy at 0 K -2.779 eV/atom, magnetic moment 0.0 μB per cell.

~~~~~

# 1
The following is a GGA-PBE calculation of a geometry-optimized PaInCu2 structure, from the Materials Project database.

Structure (extended XYZ):
```
4
Lattice="0.000 3.349 3.349 3.349 0.000 3.349 3.349 3.349 0.000" Properties=species:S:1:pos:R:3 pbc="T T T"
Cu 5.024 5.024 5.024
Cu 1.675 1.675 1.675
In 3.349 3.349 3.349
Pa 0.000 0.000 0.000
```

Calculated values
DFT total energy	-20.8	eV/cell
space group	No. 225

***

# 2
The following is a GGA-PBE calculation of a geometry-optimized NdMg16Al12 structure, from the Materials Project database.

Structure (extended XYZ):
```
29